┌──
{"formula": "C3H4N2S2", "method": "ωB97M-V with the def2-TZVPD basis set", "gap_ev": 7.97, "homo_energy_ev": -9.06, "fmax_ev_per_a": 3.0, "lumo_energy_ev": -1.097, "elements": ["S", "C", "N", "C", "N", "C", "S", "H", "H", "H", "H"], "coordinates": [[2.7804, -0.7378, -0.4222], [2.1775, 0.6386, 0.2059], [1.0601, 1.2769, -0.2010], [-0.1177, 0.7241, -0.3690], [-0.5884, -0.5361, 0.0196], [-1.9295, -0.9627, 0.0728], [-3.1516, 0.0749, -0.3198], [2.6000, 1.2359, 1.0105], [-0.8938, 1.3729, -0.7076], [0.1726, -1.0758, 0.3291], [-2.1094, -2.0109, 0.3818]], "nbo_charge": [-0.0764, -0.1001, -0.4725, 0.3371, -0.6093, -0.0826, -0.0471, 0.2003, 0.2090, 0.4176, 0.2239]}



{"formula": "C4H4N4", "method": "ωB97M-V with the def2-TZVPD basis set", "gap_ev": 8.77, "homo_energy_ev": -10.68, "fmax_ev_per_a": 2.4, "lumo_energy_ev": -1.906, "elements": ["H", "N", "C", "N", "C", "C", "N", "C", "N", "H", "H", "H"], "coordinates": [[-3.1615, -1.1254, -0.2336], [-3.1507, -0.0726, -0.1355], [-1.9604, 0.2374, 0.1105], [-0.9417, -0.7447, 0.0672], [0.2854, -0.4552, 0.0994], [0.8940, 0.8991, 0.0792], [2.1662, 0.8555, -0.0449], [2.3915, -0.5528, -0.0948], [1.3684, -1.2985, 0.0942], [-1.7511, 1.2825, 0.3775], [0.4115, 1.8497, -0.1297], [3.4484, -0.8751, -0.1895]], "nbo_charge": [0.3474, -0.5429, 0.2119, -0.3698, 0.3340, 0.0424, -0.4214, 0.2761, -0.4534, 0.1608, 0.2094, 0.2056]}



{"formula": "C9H8N2", "method": "ωB97M-V with the def2-TZVPD basis set", "gap_ev": 9.45, "homo_energy_ev": -8.55, "fmax_ev_per_a": 13.8, "lumo_energy_ev": 0.903, "elements": ["C", "C", "C", "C", "C", "N", "C", "C", "N", "C", "C", "H", "H", "H", "H", "H", "H", "H", "H"], "coordinates": [[-1.4062, -2.5738, 0.9557], [-1.2539, -2.3048, -0.3402], [-0.5691, -1.1783, -0.8331], [-0.0954, -0.3539, 0.1523], [0.7611, 0.9070, -0.3748], [1.9916, 1.1431, -0.3567], [2.1946, 2.3700, -0.8426], [0.9529, 2.9595, -1.1952], [0.0513, 1.9921, -0.7873], [-0.1546, -0.5304, 1.5085], [-0.9717, -1.6551, 1.9135], [-1.9130, -3.3985, 1.1246], [-1.4106, -2.8023, -1.0481], [-0.2916, -1.1570, -1.9341], [3.0402, 2.5673, -0.9682], [0.6651, 3.8245, -1.4227], [-0.9283, 1.9438, -0.9403], [0.3450, 0.1451, 2.4263], [-1.0074, -1.8985, 2.9625]], "nbo_charge": [-0.2198, -0.1673, -0.2069, -0.0694, 0.3537, -0.4648, -0.0440, -0.1019, -0.5196, -0.2023, -0.1846, 0.2057, 0.1715, 0.2323, 0.1583, 0.1855, 0.4133, 0.2497, 0.2107]}



{"formula": "C6H15NO2", "method": "ωB97M-V with the def2-TZVPD basis set", "gap_ev": 8.79, "homo_energy_ev": -7.94, "fmax_ev_per_a": 4.2, "lumo_energy_ev": 0.848, "elements": ["C", "C", "C", "N", "C", "C", "H", "H", "H", "H", "H", "H", "H", "H", "H", "H", "H", "O", "C", "O", "H", "H", "H", "H"], "coordinates": [[2.5803, 0.9098, 0.7927], [1.5822, 0.0617, 0.5400], [1.9054, -1.3491, 0.1207], [0.0080, 0.4246, 0.5154], [-0.7793, -0.2919, 1.5299], [-0.3055, 1.8615, 0.4667], [2.4232, 1.9207, 1.1552], [3.6248, 0.6428, 0.6298], [2.9333, -1.4547, -0.2501], [1.7727, -2.0592, 0.9435], [1.2658, -1.6711, -0.7077], [-0.5397, 0.0876, 2.5263], [-0.5563, -1.3610, 1.5190], [-1.8418, -0.1935, 1.2819], [-1.3756, 2.0037, 0.2892], [-0.0240, 2.3539, 1.4010], [0.2372, 2.3503, -0.3452], [-2.7447, 0.2191, -1.5997], [-1.5215, -0.4462, -1.7598], [-1.7538, -1.8107, -1.9964], [-3.1294, 0.3160, -2.4879], [-0.9391, -0.0304, -2.5871], [-0.6621, -0.3242, -0.7897], [-2.1601, -2.1595, -1.1876]], "nbo_charge": [-0.4648, 0.2058, -0.6728, -0.4636, -0.4209, -0.4200, 0.2031, 0.2117, 0.2284, 0.2195, 0.2299, 0.1866, 0.2044, 0.2133, 0.2217, 0.1770, 0.2117, -0.7439, 0.1285, -0.7421, 0.4697, 0.1234, 0.2301, 0.4632]}



How do the records compare in energy above the lowest of the compared OMol25 structures with the same formula, charge and spin? In the order shown, they have 167.1; 184.0; 454.4; 365.0 kJ/mol.

* * * * *

Entry 1
Here is the molecule C3H10N2S from the OMol25 dataset. Energies are from ωB97M-V with the def2-TZVPD basis set.

Last columns: bonded neighbours and bond lengths (Å).
Cartesian coordinates (Å):
└──

Your job: search the calculation results further above for the word "def2-TZVPD" and retype each line that has it.

{"formula": "C3H4N2S2", "method": "ωB97M-V with the def2-TZVPD basis set", "gap_ev": 7.97, "homo_energy_ev": -9.06, "fmax_ev_per_a": 3.0, "lumo_energy_ev": -1.097, "elements": ["S", "C", "N", "C", "N", "C", "S", "H", "H", "H", "H"], "coordinates": [[2.7804, -0.7378, -0.4222], [2.1775, 0.6386, 0.2059], [1.0601, 1.2769, -0.2010], [-0.1177, 0.7241, -0.3690], [-0.5884, -0.5361, 0.0196], [-1.9295, -0.9627, 0.0728], [-3.1516, 0.0749, -0.3198], [2.6000, 1.2359, 1.0105], [-0.8938, 1.3729, -0.7076], [0.1726, -1.0758, 0.3291], [-2.1094, -2.0109, 0.3818]], "nbo_charge": [-0.0764, -0.1001, -0.4725, 0.3371, -0.6093, -0.0826, -0.0471, 0.2003, 0.2090, 0.4176, 0.2239]}
{"formula": "C4H4N4", "method": "ωB97M-V with the def2-TZVPD basis set", "gap_ev": 8.77, "homo_energy_ev": -10.68, "fmax_ev_per_a": 2.4, "lumo_energy_ev": -1.906, "elements": ["H", "N", "C", "N", "C", "C", "N", "C", "N", "H", "H", "H"], "coordinates": [[-3.1615, -1.1254, -0.2336], [-3.1507, -0.0726, -0.1355], [-1.9604, 0.2374, 0.1105], [-0.9417, -0.7447, 0.0672], [0.2854, -0.4552, 0.0994], [0.8940, 0.8991, 0.0792], [2.1662, 0.8555, -0.0449], [2.3915, -0.5528, -0.0948], [1.3684, -1.2985, 0.0942], [-1.7511, 1.2825, 0.3775], [0.4115, 1.8497, -0.1297], [3.4484, -0.8751, -0.1895]], "nbo_charge": [0.3474, -0.5429, 0.2119, -0.3698, 0.3340, 0.0424, -0.4214, 0.2761, -0.4534, 0.1608, 0.2094, 0.2056]}
{"formula": "C9H8N2", "method": "ωB97M-V with the def2-TZVPD basis set", "gap_ev": 9.45, "homo_energy_ev": -8.55, "fmax_ev_per_a": 13.8, "lumo_energy_ev": 0.903, "elements": ["C", "C", "C", "C", "C", "N", "C", "C", "N", "C", "C", "H", "H", "H", "H", "H", "H", "H", "H"], "coordinates": [[-1.4062, -2.5738, 0.9557], [-1.2539, -2.3048, -0.3402], [-0.5691, -1.1783, -0.8331], [-0.0954, -0.3539, 0.1523], [0.7611, 0.9070, -0.3748], [1.9916, 1.1431, -0.3567], [2.1946, 2.3700, -0.8426], [0.9529, 2.9595, -1.1952], [0.0513, 1.9921, -0.7873], [-0.1546, -0.5304, 1.5085], [-0.9717, -1.6551, 1.9135], [-1.9130, -3.3985, 1.1246], [-1.4106, -2.8023, -1.0481], [-0.2916, -1.1570, -1.9341], [3.0402, 2.5673, -0.9682], [0.6651, 3.8245, -1.4227], [-0.9283, 1.9438, -0.9403], [0.3450, 0.1451, 2.4263], [-1.0074, -1.8985, 2.9625]], "nbo_charge": [-0.2198, -0.1673, -0.2069, -0.0694, 0.3537, -0.4648, -0.0440, -0.1019, -0.5196, -0.2023, -0.1846, 0.2057, 0.1715, 0.2323, 0.1583, 0.1855, 0.4133, 0.2497, 0.2107]}
{"formula": "C6H15NO2", "method": "ωB97M-V with the def2-TZVPD basis set", "gap_ev": 8.79, "homo_energy_ev": -7.94, "fmax_ev_per_a": 4.2, "lumo_energy_ev": 0.848, "elements": ["C", "C", "C", "N", "C", "C", "H", "H", "H", "H", "H", "H", "H", "H", "H", "H", "H", "O", "C", "O", "H", "H", "H", "H"], "coordinates": [[2.5803, 0.9098, 0.7927], [1.5822, 0.0617, 0.5400], [1.9054, -1.3491, 0.1207], [0.0080, 0.4246, 0.5154], [-0.7793, -0.2919, 1.5299], [-0.3055, 1.8615, 0.4667], [2.4232, 1.9207, 1.1552], [3.6248, 0.6428, 0.6298], [2.9333, -1.4547, -0.2501], [1.7727, -2.0592, 0.9435], [1.2658, -1.6711, -0.7077], [-0.5397, 0.0876, 2.5263], [-0.5563, -1.3610, 1.5190], [-1.8418, -0.1935, 1.2819], [-1.3756, 2.0037, 0.2892], [-0.0240, 2.3539, 1.4010], [0.2372, 2.3503, -0.3452], [-2.7447, 0.2191, -1.5997], [-1.5215, -0.4462, -1.7598], [-1.7538, -1.8107, -1.9964], [-3.1294, 0.3160, -2.4879], [-0.9391, -0.0304, -2.5871], [-0.6621, -0.3242, -0.7897], [-2.1601, -2.1595, -1.1876]], "nbo_charge": [-0.4648, 0.2058, -0.6728, -0.4636, -0.4209, -0.4200, 0.2031, 0.2117, 0.2284, 0.2195, 0.2299, 0.1866, 0.2044, 0.2133, 0.2217, 0.1770, 0.2117, -0.7439, 0.1285, -0.7421, 0.4697, 0.1234, 0.2301, 0.4632]}
Here is the molecule C3H10N2S from the OMol25 dataset. Energies are from ωB97M-V with the def2-TZVPD basis set.